== To do ==
Retype the part of the block underneath that starts with the line with "0.590 -0.121" and stops after the one with "1.86619 -1.42940", please.

== Listing ==
'''
DFT (the ωB97M-V functional and the def2-TZVPD basis) results for a 3-piece molecular cluster, C12H11N2O8S overall.

Its spin multiplicity is 1. As for the net charge: -1. For the HOMO-LUMO gap, the calculation gives 0.1226 Ha.

Each line ends with the Löwdin charge.
Atoms and positions in Å:
S -2.428 -0.599 -1.243  0.419
O -1.064 5.110 -5.718  0.072
O 0.103 2.719 -1.851  0.119
O 1.878 -0.445 6.053  0.102
O 0.729 -0.074 3.781  0.105
O 1.784 -5.053 5.181  0.084
O -1.249 2.938 -7.131  0.095
O 0.071 0.553 -3.295  0.068
O 0.665 -4.692 2.847  0.111
N -2.042 -1.523 0.129  -0.694
N -1.407 -0.710 1.147  -0.244
C -0.624 1.611 -5.291  0.080
C -0.895 2.793 -5.857  -0.250
C -0.465 4.038 -3.701  0.064
C 1.901 -2.772 5.751  0.060
C -0.234 1.565 -3.891  -0.317
C 0.618 -2.363 3.155  0.085
C 0.942 -1.244 4.025  -0.305
C 1.563 -3.890 4.888  -0.324
C 0.914 -3.604 3.565  -0.242
C 1.612 -1.530 5.347  -0.248
C -0.816 4.083 -5.100  -0.331
C -0.201 2.852 -3.121  -0.242
H -0.720 -0.085 0.738  0.005
H 1.548 0.300 5.506  0.116
H 0.973 -5.446 3.386  0.112
H 0.126 -2.142 2.207  0.107
H -0.673 0.678 -5.833  0.134
H -1.260 -0.566 -1.924  -0.242
H -1.375 3.901 -7.253  0.111
H 0.171 1.754 -1.680  0.119
H -2.088 -0.141 1.641  0.015
H -0.437 4.970 -3.155  0.129
H 2.380 -2.984 6.697  0.127


DFT (ωB97M-V/def2-TZVPD) results for a single C5H11B molecule at a distorted geometry.

Structure (XYZ):
```
17
Properties=species:S:1:pos:R:3:forces:R:3:lowdin_spin:R:1
B 0.8226 -0.2050 0.0319 2.497 -0.447 0.643 0.754
C -2.1361 0.3322 0.6484 3.170 0.974 0.357 0.079
C -1.8027 1.0040 -0.6674 -1.734 -2.779 -0.224 0.091
C -0.9875 -0.2244 -0.1535 -1.769 2.524 -0.448 0.476
C 1.5236 -0.3457 -1.4133 -3.823 -0.100 -0.536 0.188
C 1.4846 -0.0790 1.5419 -2.608 -1.279 0.748 0.198
H -2.0777 0.7404 1.6452 0.482 0.590 -0.121 0.011
H -2.9182 -0.2972 0.5808 -2.676 -2.187 0.003 0.010
H -2.6508 0.8368 -1.4192 1.777 0.146 0.648 0.009
H -1.4017 1.9434 -0.6844 1.099 2.237 0.245 0.012
H -1.1982 -1.0385 -0.7725 0.251 -1.802 -0.529 0.040
H 2.5582 -0.1303 -1.4000 1.098 0.700 0.297 0.019
H 0.8912 0.4411 -1.9755 1.502 -1.322 -0.107 0.018
H 1.4290 -1.3708 -1.8730 -0.165 0.932 0.101 0.030
H 2.5852 -0.1432 1.5830 -0.501 -0.107 -0.456 0.018
H 1.0075 -0.7665 2.3772 1.080 1.127 -1.583 0.023
H 1.1481 0.9132 1.7590 0.321 0.793 0.961 0.026
```
Forces are in eV/Å.

The strongest force on any atom comes out at 0.075 Eh/bohr. The spin multiplicity is 3. For the energy above the lowest of the compared OMol25 structures with the same formula, charge and spin, the calculation gives 29.8 kcal per mole. As for the LUMO energy (spin up / spin down): 0.8 / -3.7 eV. The value obtained for the highest occupied orbital energy (spin up / spin down) is -0.1728 / -0.3664 Ha. As for the expectation value of S²: 2.0035.


1.
DFT (wB97M-V/def2-TZVPD) results for a 7-piece molecular cluster, C4H22NO8 overall in a non-equilibrium geometry.

XYZ file:
```
35
C4H22NO8, DFT wB97M-V/def2-TZVPD
C 0.75839 -0.20502 3.10296
C 1.18803 0.28486 1.69488
C 1.13684 1.79919 1.32552
C 0.18501 2.61800 0.64952
O -0.22818 1.98727 -0.47659
O -0.43718 3.57499 0.92377
N 0.38765 -0.45761 0.57889
H -0.29914 0.35052 3.33312
H 0.63135 -1.30856 3.12040
H 1.55183 -0.03861 3.76122
H 2.22263 -0.12995 1.44819
H 1.14535 2.44655 2.34719
H 2.13974 1.92339 0.76072
H -1.05534 2.21933 -0.97136
H 0.62103 -0.30360 -0.34787
H 0.45738 -1.49552 0.68517
H -0.51138 -0.16315 0.96609
H -3.01938 3.03401 -0.94497
H -3.52852 2.02958 -1.97953
O -3.03389 2.08656 -1.15430
H -2.29106 -0.51740 -1.78834
H -3.24754 -0.84151 -0.70227
O -2.50975 -1.21303 -1.17324
H 0.42054 1.29455 -4.67818
H 1.19974 2.47154 -4.12549
O 1.01184 1.66359 -3.93394
H 1.86619 -1.42940 -1.62067
H 1.86092 0.13527 -1.65582
O 2.08668 -0.60542 -1.11138
H -1.30806 -3.42313 1.29169
H -1.20211 -2.68818 0.01608
O -0.97154 -2.53738 0.99276
H 0.33580 -4.40022 -0.47431
H 1.38870 -4.35444 0.40595
O 1.04742 -3.80710 -0.26590
```

## Properties
Total energy (eV): -22367.0739
'''

== Solution ==
H -2.0777 0.7404 1.6452 0.482 0.590 -0.121 0.011
H -2.9182 -0.2972 0.5808 -2.676 -2.187 0.003 0.010
H -2.6508 0.8368 -1.4192 1.777 0.146 0.648 0.009
H -1.4017 1.9434 -0.6844 1.099 2.237 0.245 0.012
H -1.1982 -1.0385 -0.7725 0.251 -1.802 -0.529 0.040
H 2.5582 -0.1303 -1.4000 1.098 0.700 0.297 0.019
H 0.8912 0.4411 -1.9755 1.502 -1.322 -0.107 0.018
H 1.4290 -1.3708 -1.8730 -0.165 0.932 0.101 0.030
H 2.5852 -0.1432 1.5830 -0.501 -0.107 -0.456 0.018
H 1.0075 -0.7665 2.3772 1.080 1.127 -1.583 0.023
H 1.1481 0.9132 1.7590 0.321 0.793 0.961 0.026
```
Forces are in eV/Å.

The strongest force on any atom comes out at 0.075 Eh/bohr. The spin multiplicity is 3. For the energy above the lowest of the compared OMol25 structures with the same formula, charge and spin, the calculation gives 29.8 kcal per mole. As for the LUMO energy (spin up / spin down): 0.8 / -3.7 eV. The value obtained for the highest occupied orbital energy (spin up / spin down) is -0.1728 / -0.3664 Ha. As for the expectation value of S²: 2.0035.


1.
DFT (wB97M-V/def2-TZVPD) results for a 7-piece molecular cluster, C4H22NO8 overall in a non-equilibrium geometry.

XYZ file:
```
35
C4H22NO8, DFT wB97M-V/def2-TZVPD
C 0.75839 -0.20502 3.10296
C 1.18803 0.28486 1.69488
C 1.13684 1.79919 1.32552
C 0.18501 2.61800 0.64952
O -0.22818 1.98727 -0.47659
O -0.43718 3.57499 0.92377
N 0.38765 -0.45761 0.57889
H -0.29914 0.35052 3.33312
H 0.63135 -1.30856 3.12040
H 1.55183 -0.03861 3.76122
H 2.22263 -0.12995 1.44819
H 1.14535 2.44655 2.34719
H 2.13974 1.92339 0.76072
H -1.05534 2.21933 -0.97136
H 0.62103 -0.30360 -0.34787
H 0.45738 -1.49552 0.68517
H -0.51138 -0.16315 0.96609
H -3.01938 3.03401 -0.94497
H -3.52852 2.02958 -1.97953
O -3.03389 2.08656 -1.15430
H -2.29106 -0.51740 -1.78834
H -3.24754 -0.84151 -0.70227
O -2.50975 -1.21303 -1.17324
H 0.42054 1.29455 -4.67818
H 1.19974 2.47154 -4.12549
O 1.01184 1.66359 -3.93394
H 1.86619 -1.42940 -1.62067